Restate only the lines further down with the word "optimized" in them.

- - -
# Na5CoSO2

An optimized crystal structure of Na5CoSO2 (r2SCAN, the Materials Project database).

a = 6.4108 Å, b = 6.4107 Å, c = 8.0265 Å
α = 90.06°, β = 90.04°, γ = 90.00°
Closest atoms and distances in Å follow each position.
Fractional positions:
Na  0.0000  0.0000  0.5000  2 O 2.25
Na  0.5000  0.5000  0.5000  2 O 2.25
Na  0.2498  0.2496  0.2556  2 O 2.28-2.29
Na  0.7497  0.7496  0.2558  2 O 2.28-2.29
Na  0.2496  0.7495  0.2552  2 O 2.28
Na  0.7496  0.2495  0.2562  2 O 2.29
Na  0.2503  0.2504  0.7442  2 O 2.28-2.29
Na  0.7502  0.7504  0.7444  2 O 2.28-2.29
Na  0.2504  0.7505  0.7438  2 O 2.29
Na  0.7504  0.2505  0.7448  2 O 2.28
Co  0.5000  0.5000  0.0000  2 O 1.76
Co  0.0000  0.0000  0.0000  2 O 1.76
S  0.5000  0.0000  0.5000  12 Na 2.99-3.21
S  0.0000  0.5000  0.5000  12 Na 3.00-3.21
O  0.9993  0.0001  0.7806  1 Co 1.76
O  0.5003  0.4994  0.7807  1 Co 1.76
O  0.0007  0.9999  0.2194  1 Co 1.76
O  0.4997  0.5006  0.2193  1 Co 1.76

Values from the calculation:
- calculated density (Mg/m³) = 2.4
- E (eV/f.u.) = -62.6


# NbCo2

An optimized crystal structure of NbCo2 (r2SCAN, the Materials Project database).

a = 4.8017 Å, b = 4.8017 Å, c = 15.8028 Å
α = 90.00°, β = 90.00°, γ = 120.00°
Closest atoms and distances in Å follow each position.
Fractional positions:
Nb  0.0000  0.0000  0.4061  12 Co 2.81-2.82, 4 Nb 2.94-2.97
Nb  0.0000  0.0000  0.5939  12 Co 2.81-2.82, 4 Nb 2.94-2.97
Nb  0.0000  0.0000  0.9061  12 Co 2.81-2.82, 4 Nb 2.94-2.97
Nb  0.0000  0.0000  0.0939  12 Co 2.81-2.82, 4 Nb 2.94-2.97
Nb  0.3333  0.6667  0.6562  12 Co 2.82-2.83, 4 Nb 2.94-2.96
Nb  0.6667  0.3333  0.3438  12 Co 2.82-2.83, 4 Nb 2.94-2.96
Nb  0.6667  0.3333  0.1562  12 Co 2.82-2.83, 4 Nb 2.94-2.96
Nb  0.3333  0.6667  0.8438  12 Co 2.82-2.83, 4 Nb 2.94-2.96
Co  0.3333  0.6667  0.3763  6 Co 2.40-2.44
Co  0.6667  0.3333  0.6237  6 Co 2.40-2.44
Co  0.6667  0.3333  0.8763  6 Co 2.40-2.44
Co  0.3333  0.6667  0.1237  6 Co 2.40-2.44
Co  0.5000  0.5000  0.5000  6 Co 2.40
Co  0.5000  0.0000  0.5000  6 Co 2.40
Co  0.0000  0.5000  0.5000  6 Co 2.40
Co  0.5000  0.5000  0.0000  6 Co 2.40
Co  0.5000  0.0000  0.0000  6 Co 2.40
Co  0.0000  0.5000  0.0000  6 Co 2.40
Co  0.1651  0.8349  0.2500  6 Co 2.38-2.44
Co  0.1651  0.3303  0.2500  6 Co 2.38-2.44
Co  0.6697  0.8349  0.2500  6 Co 2.38-2.44
Co  0.8349  0.1651  0.7500  6 Co 2.38-2.44
Co  0.8349  0.6697  0.7500  6 Co 2.38-2.44
Co  0.3303  0.1651  0.7500  6 Co 2.38-2.44

Values from the calculation:
- space group = No. 194
- calculated density (Mg/m³) = 8.9
- E (eV/f.u.) = -51.4


# NbCo2

An optimized crystal structure of NbCo2 (r2SCAN, the Materials Project database).

a = 4.8024 Å, b = 4.8024 Å, c = 4.8025 Å
α = 60.00°, β = 60.00°, γ = 60.00°
Closest atoms and distances in Å follow each position.
Fractional positions:
Nb  0.8750  0.8750  0.8750  12 Co 2.82, 4 Nb 2.94
Nb  0.1250  0.1250  0.1250  12 Co 2.82, 4 Nb 2.94
Co  0.5000  0.5000  0.5000  6 Co 2.40
Co  0.5000  0.5000  0.0000  6 Co 2.40
Co  0.0000  0.5000  0.5000  6 Co 2.40
Co  0.5000  0.0000  0.5000  6 Co 2.40

Values from the calculation:
- space group = No. 227
- calculated density (Mg/m³) = 8.9
- E (eV/f.u.) = -51.4


# NbCoP

An optimized crystal structure of NbCoP (r2SCAN, the Materials Project database).

a = 3.5855 Å, b = 6.1306 Å, c = 6.9307 Å
α = 90.00°, β = 90.00°, γ = 90.00°
Closest atoms and distances in Å follow each position.
Fractional positions:
Nb  0.2500  0.5257  0.3281  5 P 2.55-2.62, 6 Co 2.78-2.84
Nb  0.2500  0.0257  0.1719  5 P 2.55-2.62, 6 Co 2.78-2.84
Nb  0.7500  0.9743  0.8281  5 P 2.55-2.62, 6 Co 2.78-2.84
Nb  0.7500  0.4743  0.6719  5 P 2.55-2.62, 6 Co 2.78-2.84
Co  0.7500  0.3545  0.0611  4 P 2.23-2.36
Co  0.2500  0.1455  0.5611  4 P 2.23-2.36
Co  0.7500  0.8545  0.4389  4 P 2.23-2.36
Co  0.2500  0.6455  0.9389  4 P 2.23-2.36
P  0.2500  0.7805  0.6195  4 Co 2.23-2.36
P  0.2500  0.2805  0.8805  4 Co 2.23-2.36
P  0.7500  0.2195  0.3805  4 Co 2.23-2.36
P  0.7500  0.7195  0.1195  4 Co 2.23-2.36

Values from the calculation:
- - -

An optimized crystal structure of Na5CoSO2 (r2SCAN, the Materials Project database).
An optimized crystal structure of NbCo2 (r2SCAN, the Materials Project database).
An optimized crystal structure of NbCo2 (r2SCAN, the Materials Project database).
An optimized crystal structure of NbCoP (r2SCAN, the Materials Project database).